Latest AMR financial results validate American Airline's large narrow-body order
~~~
1.
{"formula": "LiMgTc2", "functional": "PBE-GGA", "state": "optimized geometry", "cell": [[2.7265, 0.0001, 0.0000], [-1.1160, 2.4876, 0.0000], [0.0000, 0.0000, 9.4467]], "species": ["Li", "Mg", "Tc", "Tc"], "fractional_positions": [[0.0000, 0.0000, 0.4828], [0.5000, 0.5000, 0.7618], [0.5000, 0.5000, 0.2397], [0.0000, 0.0000, 0.0157]], "formation_energy_ev_per_fu": 0.83, "e_tot_ev_per_cell": -23.411}

2.
{"formula": "LiMgTc2", "functional": "PBE-GGA", "state": "optimized geometry", "cell": [[-0.0364, 2.4313, -0.8675], [-2.4811, 0.2066, 0.6831], [2.4945, 2.9516, 8.1674]], "species": ["Mg", "Tc", "Tc", "Li"], "fractional_positions": [[0.5000, 0.5000, 0.7500], [0.0000, 0.0000, 0.4993], [0.0000, 0.0000, 0.0007], [0.5000, 0.5000, 0.2500]], "formation_energy_ev_per_fu": 1.22, "e_tot_ev_per_cell": -23.023}

3.
{"formula": "LiMgTc2", "functional": "PBE-GGA", "state": "optimized geometry", "cell": [[5.2746, 0.0021, -0.0124], [2.7423, 4.5057, 0.0124], [-3.7030, -2.7971, 2.5071]], "species": ["Tc", "Tc", "Mg", "Li"], "fractional_positions": [[0.0039, 0.0039, 0.0000], [0.4961, 0.4961, 0.0000], [0.7500, 0.2500, 0.5000], [0.2500, 0.7500, 0.5000]], "formation_energy_ev_per_fu": 0.82, "e_tot_ev_per_cell": -23.423}

4.
{"formula": "LiMgTc2", "functional": "PBE-GGA", "state": "optimized geometry", "cell": [[-3.0956, -2.1611, -2.1458], [3.0242, -2.5106, -1.8462], [-0.1936, 0.3500, 4.3241]], "species": ["Tc", "Tc", "Li", "Mg"], "fractional_positions": [[0.0001, 0.0001, 0.0000], [0.2500, 0.7500, 0.5000], [0.4999, 0.4999, 0.0000], [0.7500, 0.2500, 0.5000]], "formation_energy_ev_per_fu": 0.43, "e_tot_ev_per_cell": -23.813}

What did the fourth record say?
{"formula": "LiMgTc2", "functional": "PBE-GGA", "state": "optimized geometry", "cell": [[-3.0956, -2.1611, -2.1458], [3.0242, -2.5106, -1.8462], [-0.1936, 0.3500, 4.3241]], "species": ["Tc", "Tc", "Li", "Mg"], "fractional_positions": [[0.0001, 0.0001, 0.0000], [0.2500, 0.7500, 0.5000], [0.4999, 0.4999, 0.0000], [0.7500, 0.2500, 0.5000]], "formation_energy_ev_per_fu": 0.43, "e_tot_ev_per_cell": -23.813}

* * * * *

Entry 1:
A geometry-optimized Fe3Si5 structure. Source: Alexandria, functional PBE.

Lattice parameters (Å, degrees): 6.776 6.776 4.789 90.00 90.00 120.00
Fractional positions:
Fe (0.000, 0.390, 0.250)
Fe (0.000, 0.610, 0.750)
Fe (0.390, 0.000, 0.250)
Fe (0.390, 0.390, 0.750)
Fe (0.610, 0.000, 0.750)
Fe (0.610, 0.610, 0.250)
Si (0.000, 0.254, 0.750)
Si (0.000, 0.746, 0.250)
Si (0.254, 0.000, 0.750)
Si (0.254, 0.254, 0.250)
Si (0.333, 0.667, 0.000)
Si (0.333, 0.667, 0.500)
Si (0.667, 0.333, 0.000)
Si (0.667, 0.333, 0.500)
Si (0.746, 0.000, 0.250)
Si (0.746, 0.746, 0.750)

Computed properties:
Symmetry: P6_3/mcm (193)
Calculated total energy: -6.65 eV per atom
Formation energy (no corrections): -0.0830 eV/atom
Relative energy among the computed polymorphs: 138 meV per atom
N(E_F): 10.8 states/eV per cell

---

Entry 2:
A geometry-optimized Fe2Si structure. Source: Alexandria, functional PBE.
~~~
**So much for the data records**
Earlier today, AMR corporation, the parent company of American Airlines, announced its financial results for the third quarter of 2011. Trad...
[Materials data, kept here for reference]
-- begin --
i.
# Mg6SiC

Crystalline Mg6SiC at its relaxed geometry (PBE, Alexandria).

The structure in extended XYZ format:
```
8
Lattice="1.063 6.717 -2.395 -5.872 -3.921 1.457 0.047 1.463 4.124" Properties=species:S:1:pos:R:3 pbc="T T T"
Mg -3.114 3.524 1.107
Mg -1.868 -0.159 0.078
Mg -0.174 5.515 0.368
Mg -0.733 2.140 1.571
Mg -1.150 3.323 -1.166
Mg -4.119 1.149 -0.361
Si -5.128 -2.780 1.044
C -2.858 1.399 1.858
```

Values from the calculation:
SG ... Amm2 (38)
Volume ... 20.48 Å³/atom

=====

ii.
# Mg6SiC

Crystalline Mg6SiC at its relaxed geometry (PBE, Alexandria).

The structure in extended XYZ format:
```
8
Lattice="4.105 -4.740 0.000 4.105 4.740 0.000 0.000 0.000 3.769" Properties=species:S:1:pos:R:3 pbc="T T T"
Mg 1.985 -1.374 1.884
Mg 5.539 1.099 0.000
C 4.105 2.208 1.884
Mg 4.105 3.774 0.000
Mg 2.671 1.099 0.000
Mg 6.225 -1.374 1.884
Si 4.105 -3.666 1.884
Mg 4.105 -1.766 0.000
```

Values from the calculation:
SG ... Amm2 (38)
Volume ... 18.33 Å³/atom

=====

Relative stability in kJ/mol of atoms, measured from the most stable structure: i 10.4; ii 0.0

=====

i.
# MgSiC

Crystalline MgSiC at its relaxed geometry (PBE, Alexandria).

The structure in extended XYZ format:
```
6
Lattice="3.072 0.000 0.000 -1.536 2.661 0.000 0.000 0.000 9.251" Properties=species:S:1:pos:R:3 pbc="T T T"
C 1.536 0.887 4.922
Mg 1.536 0.887 7.963
Si 0.000 0.000 5.656
C 0.000 1.774 0.296
Si 0.000 0.000 1.031
Mg 0.000 1.774 3.337
```

Values from the calculation:
SG ... P6_3mc (186)
Volume ... 12.60 Å³/atom

=====

ii.
# MgSiC

Crystalline MgSiC at its relaxed geometry (PBE, Alexandria).

The structure in extended XYZ format:
```
12
Lattice="3.099 0.000 0.000 0.000 11.116 0.000 0.000 0.000 4.435" Properties=species:S:1:pos:R:3 pbc="T T T"
Si 0.000 10.473 3.326
Mg 0.000 7.667 3.326
Si 0.000 0.643 1.109
C 1.550 1.704 1.109
Si 1.550 4.915 3.326
Si 1.550 6.200 1.109
C 0.000 3.854 3.326
Mg 0.000 3.449 1.109
C 1.550 9.412 3.326
Mg 1.550 2.109 3.326
Mg 1.550 9.007 1.109
C 0.000 7.262 1.109
```

Values from the calculation:
SG ... Cmcm (63)
Volume ... 12.73 Å³/atom

=====

Relative stability in kJ/mol of atoms, measured from the most stable structure: i 0.0; ii 2.6

=====

i.
# MgSiC

Crystalline MgSiC at its relaxed geometry (PBE, Alexandria).

The structure in extended XYZ format:
```
12
Lattice="9.453 0.000 0.053 0.000 3.070 0.000 -0.996 0.000 5.231" Properties=species:S:1:pos:R:3 pbc="T T T"
Si 6.834 1.535 1.337
Si 6.336 0.000 3.952
C 5.957 0.000 2.073
Mg 0.000 1.535 0.000
C 2.500 0.000 3.211
C 2.998 1.535 0.596
Mg -0.498 0.000 2.615
Si 2.121 0.000 1.332
Si 1.623 1.535 3.947
Mg 4.229 1.535 2.642
C 5.459 1.535 4.688
Mg 4.727 0.000 0.027
```

Values from the calculation:
SG ... C2/m (12)
Volume ... 12.66 Å³/atom

=====

ii.
# MgSiC

Crystalline MgSiC at its relaxed geometry (PBE, Alexandria).

The structure in extended XYZ format:
```
6
Lattice="-1.904 1.092 -2.240 2.811 -1.163 -0.761 -3.994 -9.004 -0.993" Properties=species:S:1:pos:R:3 pbc="T T T"
Si -3.897 -7.696 -2.633
-- stop --
Earlier today, AMR corporation, the parent company of American Airlines, announced its financial results for the third quarter of 2011. Traditionally, the third quarter is the strongest financial quarter for US airlines. However, AMR posted a net loss of $162 million, $0.48 per diluted share. This stood in contrast to their $143 million net profit in the third quarter of 2010.
American showed singificant strength on the revenue front, with a 9.1% increase to US $6.4 billion. Seat-mile revenues were up by 8.7% as well, reflecting growing demand and broad capacity restraint in the US market. The carrier's Latin American operations showed particular strength, with seat-mile revenues up 20% vs. 2010: 25% in South America alone.
And American looks poised to make continual incremental gains in revenue. The carrier plans to cut close to 3% of its capacity in the fourth quarter of 2011, and has stated that advance bookings are at similar levels to those of 2010. These capacity cuts will limit American's year-over year capacity growth to just 1.2% on a consolidated basis.
But despite these positive indicators, American's financial results were disappointing; primarily due to the sharp rise in fuel prices. In a narrative similar to the one given by Indian carriers to explain their results in Q1 of FY2012, American attributed a large portion of its loss to the increase in fuel prices. American's fuel exepenses rose 39.8% year over year, by US $642 million.
Fuel represents close to 36% of American's operating costs, and consequently AMR's seat-mile costs jumped by 10.1%, more than wiping out the incremental revenue gains. American's fleet of McDonnell Douglas MD-80 aircraft (and to an extent the fleet of Boeing 757-200s) is a severe disadvantage for the carrier. These aircraft are 25-30% less fuel efficient than current generation aircraft, and the potential fuel cost reductions of re-engined 737s and A320s can reach 40%.
Earlier this year, American Airlines announced a large order for 460 narrowbody aircraft, split equally between current and next generation aircraft. When news of the order broke, numerous airline analysts questioned the rationale behind the order, citing American's financial troubles, and large debt load (net debt of $12.6 billion at the end of Q3). While there certainly is validity to the idea that limiting capital expense can be more important than improving fuel burn, American's fleet is so inefficient that improving fuel burn should have a larger positive effect on their financial results than the negative effect of added capital expense.
To illustrate this point, just a 15% reduction in American's overall fuel expenses (which a conversion of the entire MD-80 fleet to current generation narrowbodies could achieve) would have saved the carrier more than US $340 million this past quarter. And maintenance costs, which represennt roughly 5.44% of American's operating expenses, would decrease as well (at least early in the life cycle of the new aircraft as well). aircraft rent represents just 2.6% of American's operating costs, and thus even a 50% rise in rents would have a smaller overall effect on the bottom line than the reduction in fuel prices.
American's latest quarterly loss illustrates the unique challenges faced by the carrier. Already locked into unproductive labor contracts, American's fuel inefficient fleet of MD-80s is the largest restrictor on its overall profitability. While American's recent order might increase capital expenses, their third quarter results illustrate that the fuel efficiency gains are likely too large to pass up.